Monday, January 02, 2006

Clean Slate

Whew! I'm glad that year's is over and done. I guess for some of you it was a good year so spill it. Name one good thing that's happened to you in 2005. Then name something good you'd like to happened to you in 2006. Go on...I dare ya.


Scott said...

## The page is interrupted by materials data
- - -
First-principles (GGA-PBE) data for crystalline NaCaSnSbO6 at its relaxed geometry, as listed in the Materials Project.

Summary:
The symmetry is F-43m. As for the total energy: -5.91 eV/atom. The calculation puts the energy of formation at -22.08 eV/f.u.

```
NaCaSnSbO6
1.0
0.0000 4.0136 4.0136
4.0136 0.0000 4.0136
4.0136 4.0136 0.0000
Na Ca Sn Sb O
1 1 1 1 6
direct
0.0000 0.0000 0.0000 Na
0.5000 0.5000 0.5000 Ca
0.7500 0.7500 0.7500 Sn
0.2500 0.2500 0.2500 Sb
0.0041 0.0041 0.4959 O
0.0041 0.4959 0.0041 O
0.0041 0.4959 0.4959 O
0.4959 0.0041 0.0041 O
0.4959 0.0041 0.4959 O
0.4959 0.4959 0.0041 O
```

* * * * *

Record 1
Below is a geometry-optimized Li7Fe3O8 structure, with properties calculated at the PBE with a Hubbard U level.

a b c (Å): 5.5505 7.7515 10.4627
angles (deg): 68.87 86.04 70.86
Last column: nearest neighbours and their distance in Å.
Element x y z (fractional)
Li1 0.0324 0.2702 0.2776  3 O 1.98-2.21
Li2 0.0400 0.7471 0.2204  2 O 2.03-2.10
Li3 0.0808 0.0786 0.5610  4 O 1.92-2.06
Li4 0.1829 0.5141 0.0537  4 O 1.94-2.05
Li5 0.2152 0.0498 0.0666  3 O 2.02-2.24
Li6 0.2160 0.5470 0.5162  2 O 1.91-2.08
Li7 0.3564 0.8682 0.3344  3 O 1.92-2.06
Li8 0.6436 0.1318 0.6656  3 O 1.92-2.06
Li9 0.7840 0.4530 0.4838  2 O 1.91-2.08
Li10 0.7848 0.9502 0.9334  3 O 2.02-2.24
Li11 0.8171 0.4859 0.9463  4 O 1.94-2.05
Li12 0.9192 0.9214 0.4390  4 O 1.92-2.06
Li13 0.9600 0.2529 0.7796  2 O 2.03-2.10
Li14 0.9676 0.7298 0.7224  3 O 1.98-2.21
Fe1 0.3082 0.8719 0.8542  4 O 1.86-1.95
Fe2 0.4401 0.3119 0.3782  4 O 1.83-2.00
Fe3 0.4476 0.3331 0.8381  4 O 1.81-1.98
Fe4 0.5524 0.6669 0.1619  4 O 1.81-1.98
Fe5 0.5599 0.6881 0.6218  4 O 1.83-2.00
Fe6 0.6918 0.1281 0.1458  4 O 1.86-1.95
O1 0.0138 0.0145 0.2370  1 Fe 1.86, 3 Li 1.99-2.06
O2 0.1324 0.3255 0.4602  1 Fe 1.85, 2 Li 1.91-1.93
O3 0.1493 0.4881 0.8758  1 Fe 1.81, 3 Li 1.94-1.98
O4 0.2338 0.7671 0.0467  2 Fe 1.95-1.98, 2 Li 2.03-2.05
O5 0.2644 0.8501 0.5181  1 Fe 1.83, 3 Li 1.92-1.96
O6 0.3999 0.2868 0.2031  2 Fe 1.89-1.95, 1 Li 1.97
O7 0.4097 0.0911 0.8454  2 Fe 1.93, 1 Li 2.10
O8 0.4235 0.5877 0.3410  2 Fe 1.92-2.00, 2 Li 2.06-2.08
O9 0.5765 0.4123 0.6590  2 Fe 1.92-2.00, 2 Li 2.06-2.08
O10 0.5903 0.9089 0.1546  2 Fe 1.93, 1 Li 2.10
O11 0.6001 0.7132 0.7969  2 Fe 1.89-1.95, 1 Li 1.97
O12 0.7356 0.1499 0.4819  1 Fe 1.83, 3 Li 1.92-1.96
O13 0.7662 0.2329 0.9533  2 Fe 1.95-1.98, 2 Li 2.03-2.05
O14 0.8507 0.5119 0.1242  1 Fe 1.81, 3 Li 1.94-1.98
O15 0.8676 0.6745 0.5398  1 Fe 1.85, 2 Li 1.91-1.93
O16 0.9862 0.9855 0.7630  1 Fe 1.86, 3 Li 1.99-2.06

Results
- Crystal system: triclinic
- Space group: No. 2
- Energy with MP2020 corrections: -225.50 eV/cell
- DFT formation energy: -1.9107 eV per atom
- Total energy: -100.5 eV/f.u.
- Total magnetization: 0.83 μB per atom

=====

Record 2
Below is a geometry-optimized Li5Fe11O16 structure, with properties calculated at the PBE with a Hubbard U level.

a b c (Å): 6.0928 12.0992 10.4846
angles (deg): 90.00 125.51 90.00
- - -
## Here the page continues

I worked at home all year long and got to see my boys for all that time. My wife realized that her family wasn't what she thought and as a result we are free to live our own lives. For 2006 I'd like to get something published, be it a short story, an article, or any sort of writing credit.

Thanks for all your encouragement!

The Zombieslayer said...

In November 2005, for the first time in three years, I got a full-time job.

In 2006, I'm going to take Mrs. Z and Junior on some cool vacations.

Moni said...

Scott--It's wonderful that you got to spend time with your boys. ;) Good for your wife, sometimes families have a way of playing on our sense of family obligation. I had to learn that we can love our families even at a distance. Ha!

You know there are a lot of unknown talented writers, musicians, and artists and often they are more talented than those who are famous. The unknown artists just lack exposure, so expose yourself. Ahhhh hahaha! No seriously...get you work out there and don't quit!

Zombie--Bless your heart, you are a good man and you deserve a full time job. Somehow I don't think you're any worse for the ware for not having a full time job. You seem like one hell of an investor/money manager.

I'm sure Mrs Z would love a vacation; may I suggest Paris? It's so romantic and I think Junior would like it too. Anyway, it doesn't really matter where you go as long as you go together. ;)

Moni said...

Ooops, I forgot about myself.

Let's see, nothing incredibly good happened in 2005. Although things did start falling together this year. I will be moving into my first house in a few days. Thank God!

I look forward to taking a musical heritage tour of Scotland. I hope to spend a little time with my friends that I haven't seen in 10 years. I don't know how I'll get the money for the trip, but I have faith. ;)

I may not blog for a while because of the move, but I'm sure the internet community will muddle through without me. ;P hehehe!

Tootles my cheeky wee monkeys,

Mark Pettus said...

I became an editor last year, so my dream to make a real living writing is a reality.

I hope to sell Transit Gloria to a publisher this year. A really good year would see me getting a big enough advance to write fiction full time. Please, oh please...

The Zombieslayer said...

Moni - That musical heritage in Scotland would be awesome! My wife and I are heavily into Celtic music, and I'm not an expert but aren't the Scots and Celts somehow related? I imagine the music is similar.

Moni said...

Mark--An editor, wow that's great! Transit Gloria; I'm writing the title down so when it's published I can purchase it. I can't wait to read it. ;)

Zombie--The celts settled all over the British Isles. I'm not an expert either, but the fusion of pipes and drums; distinctively Scottish, and instruments used by Irish Celts seems definite.

For a history of Celtic Music(I know you're into history) check: ;)

Also, check these guys out; they broke up and then reformed with mostly new band members. They are the most talented drummers I have ever none.

The Zombieslayer said...

== Here the text breaks off for materials data ==
........
TiZnBi2O6 | GGA-PBE | relaxed

Cell: 3.9186 3.9186 8.0580 Å, 90.00 90.00 90.00°
Closest atoms and distances in Å follow each position.
Space group P4/mmm (No. 123)
One atom of each set of equivalent atoms:
Ti: 0.0000 0.0000 0.0000 [1 per cell]  6 O 1.95-1.96
Zn: 0.0000 0.0000 0.5000 [1 per cell]  6 O 1.96-2.08
Bi: 0.5000 0.5000 0.2783 [2 per cell]  8 O 2.65-2.79
O: 0.0000 0.0000 0.2416 [2 per cell]  1 Ti 1.95, 1 Zn 2.08
O: 0.0000 0.5000 0.0000 [2 per cell]  2 Ti 1.96
O: 0.0000 0.5000 0.5000 [2 per cell]  2 Zn 1.96

Computed properties:
volume: 12.4 Å³ per atom
formation energy from the elements: -1.965 eV/atom
total moment: 0.00 μB per atom
calculated total energy: -62.2 eV for the cell shown
........

Moni - thanks for the link. I'm checking it out. Yeah, like I thought, they did settle a large part of Europe, but then ended up in Britain and settled there.